Ever had questions about the story of Ananias and Sapphira? In this must-hear message, Joseph Prince shares exciting truths from this story that reveal God’s uncompromising protection over His people. Also, gain powerful insights into why you shouldn’t live your life under a mixture of law and grace, and be blessed as you discover how you can tap into God’s abundant provision when you live purely by His grace. Experience freedom, rest and an unceasing flow of God’s supply as you learn how to step out of mixture and step into the realm of pure grace—the realm of miracles and breakthroughs!

now let’s take it one step further when

I was teaching about this

I just don’t tell you something that

happen many years ago when we were in

hotel Grand Central

we’re a small Church in hotel Grand

Central and I remember we had a guest

speaker from the states and he came over

and he says bless God I’m telling you

the days of Ananias and Sapphira become

again and it shall be that you don’t

holy before the Lord

you better tremble when you come to the

presence of God came on him on so I was

I was a pastor in the church and I was

trembling it was a he wasn’t he was a

good preacher famous well-known in the


alright so we thought that we would like

to invite him to a small church you know

but here he was unleashing hell fire

sign lights lightnings you know I said

the days of Ananias and Sapphira will

come again then he pointed to a couple

you you come up here so they came up

alright sit lie down lie down so one one

male one female lie down on the stage

that small stage we had next door to the

massage parlor in our small church at

the time alright he look now see this

you see this that’s what happened in

Acts chapter 5 it’s going to happen

again all over the world that’s gonna

happen here oh I’m telling you I look at

the whole thing I’m thinking Mattia die

dad all right

what a way to grow a church come join us

for so this you just might drop dead

our people are drop-dead gorgeous you

never know what’s gonna happen but don’t

worry come because God is real he

doesn’t strike everybody yeah yeah man

when it comes to God’s favor people

always believe they won’t get it when it

comes to God’s judgment they always

believe the other one for it

all right human nature is the flesh is

negative I mean I sit down there

thinking my goodness and it’s still

being preached it is still being

preached so that got me on a search

where God began to speak to me that

night and then show me from Scripture

that these two were not believers in

fact they saw a portion of their land

and they actually position they were

trying to position themselves where

they’ll have a position of influence in

all likelihood they were trying to

deceive the church financially because

during that time they were all sharing

there was a great abundance the Bible

says no one liked so the church was

blessed by the grace of God just like us

amen all right so some people are

positioned themselves all right they

have all their name cuts ready they come

to church and act like a believer but

only God knows who is a believer who’s

not a believer and then he will try to

if they’re out to deceive you they’re

out to to cheat you then you just

announce the EULA if you are here if you

have to cheat anyone here you are the

one they need to be afraid because this

judgment is not for people whose

judgment is passed

Christ was judged in our place we cannot

be judged amen

even when you sin there’s no more

judgment Christ ransom you from the

curse of the law amen

well positive prints are you saying that

without the law then people can do

whatever they want no it’s not that you

know you know in Singapore there are

legislations and statutes about mothers

taking care of the little ones if they

don’t there are consequences legally in

Singapore all right but you know that

there are thousands upon thousands of

mothers in Singapore not aware of this

legislation yet they love their children

and take very good care of them okay you

don’t need the law to fulfill what

God has placed in your heart amen

can have a good amen anyone that tells

you you need the 10 commandments to be

holy just remind them how was how come

Abram from what I read in my Bible Abram

was the only one that God called my


how come Abraham became a friend of God

how come he was tight with God he was so

blessed of God did he keep the Ten

Commandments no we know he lied twice

okay so did he keep the Ten Commandments

no Abram left 400 over years before the

tanker mama was given there you have it

amen he was called a friend of God you

don’t you know the law cannot empower

you to do right the law was designed to

bring out your flesh the strength of sin

is the law are you listening to that’s

why of all the temptations Satan came to

Eve in the garden or to Adam all right

he did not tell either one of them to

murder the other one there’s no strain

in that temptation why because the

strength of sin is the law the only

prohibition don’t eat from the tree was

the one that devil used because the

devil knows the strength of sin is in

the prohibition are you with me

sometimes is good to not always say no

to your kid but guide them into whatever

you want anyway give them choices one

really bad choice they look at it the

turn off by another good choice single

one two choice you choose then they feel

the power they choose the right one

which is the one you wanted anyway

all right don’t always say no no no no

stir stop rebellion okay are you with me

amen so here we have very clearly stated

that they were not believers so the

intent was to deceive God’s people so

actually this judgment is very consoling

for me because it tells me God protects

his own and I’m here to tell you it

doesn’t mean today in an age of grace

God will not deal with individuals who

try to harm the church it does anyone my

friend in Jakarta Indonesia he has a

church 150,000 people pastor Perry og

and a few years ago I remember a


strip bomb to himself covered himself up

and was on his way to to bomb the church

and the church at the time was meeting

in a shopping mall as he was going up

the escalator the bomb went off

Unrelated to this entry: crystal structures >
+++
(1)
Compound: Sr2Ga6CoPd
Source: Alexandria via LeMat-Bulk
Functional: PBE-GGA
Structure: optimized geometry

Cell lengths 6.7432, 6.7432, 9.5219 Å; angles 90.00, 90.00, 90.00 degrees
Closest atoms and distances in Å follow each position.
Space group I4/mmm (No. 139)
Symmetry-distinct sites (fractional):
Sr1 0.0000 0.5000 0.2500 (multiplicity 4)  12 Ga 3.37
Ga1 0.0000 0.0000 0.2412 (multiplicity 4)  1 Co 2.30, 1 Pd 2.46
Ga2 0.2411 0.2411 0.0000 (multiplicity 8)  1 Co 2.30, 1 Pd 2.47
Co1 0.0000 0.0000 0.0000 (multiplicity 2)  6 Ga 2.30
Pd1 0.0000 0.0000 0.5000 (multiplicity 2)  6 Ga 2.46-2.47

- DOS at the Fermi energy (states/eV per cell) = 8.8
- calculated formation energy (kcal/mol of atoms) = -7.94



(2)
Compound: TaGaCoPd
Source: Alexandria via LeMat-Bulk
Functional: PBE-GGA
Structure: optimized geometry

Cell lengths 6.1659, 6.1659, 6.1659 Å; angles 90.00, 90.00, 90.00 degrees
Closest atoms and distances in Å follow each position.
Space group F-43m (No. 216)
Symmetry-distinct sites (fractional):
Ta1 0.0000 0.0000 0.0000 (multiplicity 4)  4 Pd 2.67, 4 Co 2.67
Ga1 0.0000 0.0000 0.5000 (multiplicity 4)  4 Co 2.67, 4 Pd 2.67
Co1 0.2500 0.2500 0.2500 (multiplicity 4)  4 Ta 2.67, 4 Ga 2.67
Pd1 0.2500 0.2500 0.7500 (multiplicity 4)  4 Ta 2.67, 4 Ga 2.67

- DOS at the Fermi energy (states/eV per cell) = 13.5
- calculated formation energy (kcal/mol of atoms) = -5.92



(3)
Compound: TbGa3CoPd
Source: Alexandria via LeMat-Bulk
Functional: PBE-GGA
Structure: optimized geometry

Cell lengths 7.7865, 10.5320, 5.7349 Å; angles 90.00, 90.00, 90.00 degrees
Closest atoms and distances in Å follow each position.
Space group Cmcm (No. 63)
Symmetry-distinct sites (fractional):
Tb1 0.0000 0.2469 0.2500 (multiplicity 4)  1 Co 2.80, 2 Ga 2.87, 1 Pd 3.09
Ga1 0.0000 0.2315 0.7500 (multiplicity 4)  1 Co 2.23, 1 Pd 2.40
Ga2 0.2389 0.0000 0.0000 (multiplicity 8)  2 Co 2.36, 2 Pd 2.52
Co1 0.0000 0.0193 0.7500 (multiplicity 4)  5 Ga 2.23-2.36
Pd1 0.0000 0.4596 0.7500 (multiplicity 4)  5 Ga 2.40-2.52

- DOS at the Fermi energy (states/eV per cell) = 13.1
- calculated formation energy (kcal/mol of atoms) = -7.53

=====

Entry from Alexandria: a relaxed structure of La8ScCd2 (PBE).

Calculated values
* calculated volume: 365.4 Å³ per cell
* energy of formation: -0.0730 eV/atom
* magnetization: 0.000 Bohr magnetons per cell

a b c (Å): 9.1597 9.1597 8.4414
angles (deg): 110.81 110.81 33.76
With the nearest neighbours (Å) after each atom.
Fractional coordinates of all 11 atoms:
La 0.0493 0.0493 0.2432  1 Cd 3.47, 9 La 3.56-3.88, 2 Sc 3.73
La 0.1415 0.1415 0.6971  3 Cd 3.42-3.51, 7 La 3.56-3.72, 2 Sc 3.60
La 0.3153 0.3153 0.5505  1 Cd 3.28, 6 La 3.40-3.63, 1 Sc 3.42
La 0.3993 0.3993 0.0368  3 Cd 3.37-3.51, 1 Sc 3.64, 4 La 3.69-3.72
La 0.6007 0.6007 0.9632  3 Cd 3.37-3.51, 1 Sc 3.64, 4 La 3.69-3.72
+++

prematurely he lost his leg toys they

fly all right the church prayed for him

all right but God protected the church

now God didn’t protect his leg why he

was out to hurt the church God didn’t

protect him why God is protecting the

church sometimes when people try to harm

you or hurt you all right

you feel you feel even God’s judgement

make him loveable you know the rod and

the staff they comfort me but if you

hear teaching the sister rod is to hit

the sheep when they go astray what

comfort is there now the rod is for all

the wolves when the wolf come to devour

you God washed the roof on the head and

gives him a PhD permanent hit damage to

protect you

amen I’m here to announce to everyone

that comes God protects us got a watch

over ass the most loving thing you can

do for someone who has a very highly

contagious disease all right

the most loving thing you can do for the

rest of the body is to remove that

person so that it doesn’t spread

if someone says well posture you don’t

love the person I love the entire body

of Christ that’s why we are doing that

so thank God we don’t always have the

facing our situation but there is a

warning there there is a warning there’s

someone is trying to stop the influence

of the church someone is trying to stop

the gospel which is God’s heart because

God paid a dear price a huge cost to

save us and someone is trying to impede

the gospel someone is trying to stop us

someone’s writing lies about church or

whatever it is all right somewhere along

the way you’re on dangerous ground

because God loves his church